If I was not so damn old, and Canada so damn cold

Court eases business, union election spending rule — Link removed

From the above article:
“The Supreme Court threw out a 63-year-old law designed to restrain the influence of big business and unions on elections Thursday, ruling that corporations may spend as freely as they like to support or oppose candidates for president and Congress. The decision could drastically alter who gives and gets hundreds of millions of dollars in this year’s crucial midterm elections.”

All together now…

I pledge allegiance to the registered trade mark
Of the United Corporations of America
And to the greed for which it stands
One conglomerate under  Adam Smith
Outsourced, with excessive profit
And power for an chosen few

If I was not so damn old, and Canada so damn cold, I would immigrate. I hate what the Right is doing to this country. I used to be proud to say I was American. That has not been true for quite some time now.

WTF is Right

From an online discussion (I just love civilized discourse):

Obama is the president. He can only sign the bill the house of representatives pass and send to his desk.  Executive branch cannot make the legislative branch do anything they do not want. Clinton tried in 1992. How did that go….. 

As for the Legislative branch: If I remember, the Soap went something like this:

 GOP: we will block and sabatoge anything important to Obama no matter what

 (Senate Dems : kisses Olympia snow’s butt to try and get 60 votes. But apparently party loyalty is more important than the country…) Continue reading “WTF is Right”

Ideas for Liberal bumper stickers

You’ve all seen them. Various bumper stickers denigrating socialism, health care reform, anything supposedly Liberal.

There does not seem to be a whole lot of ones out there of the other ilk. How about coming up with a few?

I’ll start it off.

Capitalism: Where 10% of the people have 65% of the wealth.

Capitalism: Have you checked your 401k lately.

I love how Korporations  manage MY health care.

Canada could teach US about citizen centered government

Health Care System Forces Bad Decisions

[Calculated molecules, as found in the file]
/*
Computed, not measured: C14H19NO3 in the gas phase, with ωB97M-V/def2-TZVPD.

Results
- HOMO-LUMO gap (eV) = 9.22
- total charge = 0
- LUMO (eV) = 0.599
- SMILES = CCOC(=O)CC(=O)Nc1c(C)cc(C)cc1C
- HOMO (eV) = -8.62

Cartesian coordinates (Å):
C  5.98208  0.85437  -0.41486
C  4.69827  1.19532  0.32830
O  3.58575  0.45945  -0.18385
C  3.40953  -0.77548  0.28100
O  4.14222  -1.33230  1.05183
C  2.14703  -1.37920  -0.30394
C  0.91476  -0.64291  0.24213
O  0.93951  0.05727  1.22482
N  -0.19210  -0.87802  -0.50511
C  -1.49113  -0.38386  -0.22213
C  -2.53192  -1.30297  -0.06568
C  -2.26265  -2.77604  -0.16567
C  -3.80964  -0.83323  0.18780
C  -4.07082  0.52558  0.29576
C  -5.45192  1.01834  0.60473
C  -3.02258  1.41677  0.12738
C  -1.72988  0.98861  -0.14177
C  -0.63460  1.98409  -0.35353
H  6.79303  1.47354  -0.04255
H  5.86023  1.03201  -1.48091
H  6.23621  -0.19072  -0.25604
H  4.42863  2.24443  0.19211
H  4.80611  0.97299  1.39438
H  2.17587  -1.28832  -1.39030
H  2.09725  -2.43094  -0.01705
H  -0.14832  -1.61469  -1.19458
H  -1.44316  -3.06189  0.49293
H  -1.99419  -3.05497  -1.18637
H  -3.14591  -3.34271  0.11598
H  -4.61636  -1.54166  0.31214
H  -6.20321  0.30800  0.26796
H  -5.63560  1.97967  0.13050
H  -5.56697  1.14743  1.68133
H  -3.21535  2.47777  0.19819
H  -1.04554  2.97842  -0.50783
H  -0.02503  1.71178  -1.21427
H  0.02034  2.00407  0.51714

=====

Computed, not measured: a molecular structure, H9O4 in a non-equilibrium geometry, with ωB97M-V/def2-TZVPD.

Results
- HOMO-LUMO gap (alpha / beta) (eV) = 14.01 / 3.10
- 2S+1 = 2
- total charge = +2
- LUMO (alpha / beta) (eV) = -7.650 / -16.959
- HOMO (alpha / beta) (eV) = -21.65 / -20.06

Cartesian coordinates (Å):
O  -1.09873  -0.93721  2.22660
H  -1.99560  -1.37255  2.30407
H  -0.74816  -1.21324  3.11550
O  -0.25895  2.46908  -0.87091
H  -0.03096  3.31385  -1.36287
H  -1.13398  2.39593  -1.34853
O  1.70319  -1.18704  -0.94159
H  2.20083  -0.87058  -1.70100
H  2.01414  -2.05926  -0.68743
O  -0.44032  -0.18171  -0.36167
H  -0.23044  0.78640  -0.38830
H  0.58139  -0.67429  -0.56186
H  -0.56240  -0.46938  0.57798

=====

Computed, not measured: 3 unconnected molecules or ions with the total composition C4H14N2O in a non-equilibrium geometry, with ωB97M-V/def2-TZVPD.

Results
- HOMO-LUMO gap (eV) = 9.25
- total charge = +2
- LUMO (eV) = -8.663
- HOMO (eV) = -17.92

Cartesian coordinates (Å):
C  0.96718  0.62066  0.59359
C  0.11900  -0.38462  1.17161
C  -1.27145  -0.26020  0.45828
C  -2.39334  -0.14897  1.17747
N  -1.26783  -0.65574  -0.95397
N  2.92597  0.05784  0.92593
H  1.36253  0.67101  -0.39604
H  0.95302  1.60946  1.00612
H  0.53283  -1.41466  1.00402
H  -0.14659  -0.33546  2.21287
H  -3.37308  -0.03916  0.69152
H  -2.31964  -0.41789  2.23699
H  -0.77183  -1.54552  -0.99991
H  -0.58117  0.17664  -1.47735
H  -2.19317  -0.60611  -1.39433
H  3.00999  -0.13563  1.92370
H  3.31991  -0.73084  0.41475
H  3.57875  0.76639  0.57029
H  0.30637  1.58542  -2.71577
H  -0.14035  0.38515  -3.45189
*/

Some of us get to the fork in the road, see the sign that advises that the bridge is out ahead, and take that fork anyway.  All of us make some bad choices or decisions.  Some of us make more than others.

# Inserted here: molecular data
Record 1
84
Properties=species:S:1:pos:R:3:lowdin_charge:R:1 method="wB97M-V/def2-TZVPD" e_lumo_ev=0.117 charge=0 e_tot_ha=-2432.8339 orbital_gap_ev=8.979 e_homo_ev=-8.86
H 5.844 -1.085 2.078 0.12
C 4.978 0.215 3.528 -0.20
H 3.279 -0.654 -0.592 0.13
C -5.571 1.363 -1.319 -0.21
C 6.015 -0.807 3.123 -0.20
O 7.335 -0.286 3.201 -0.19
H -3.619 5.178 4.584 0.09
H 7.411 -0.580 5.263 0.08
H 5.054 1.110 2.902 0.13
H -5.991 -1.467 -4.052 0.09
H -4.974 1.678 -3.341 0.12
C 1.318 -4.344 -3.506 -0.22
C -5.574 -1.441 -3.039 -0.10
H 8.910 -0.065 4.465 0.09
H 2.769 1.653 -0.058 0.08
C -5.495 0.910 -2.760 -0.21
O 5.085 0.552 4.906 -0.19
F 2.985 -2.875 -2.685 0.13
H -1.107 3.234 0.664 0.12
H -6.151 -1.214 0.617 0.09
H 0.673 -1.285 0.898 0.13
C 2.470 -4.085 -2.838 -0.28
H -6.391 -1.468 -2.314 0.09
O -1.642 2.546 2.498 -0.20
H -0.186 -3.047 -6.368 0.13
H -5.088 0.123 1.098 0.07
H 2.252 -2.033 1.184 0.13
H 0.380 0.294 2.801 0.09
H -4.566 1.500 -0.907 0.12
H 1.490 1.660 2.584 0.09
C 1.064 0.782 2.101 -0.10
H -6.088 2.327 -1.279 0.13
H 0.932 -4.908 -5.475 0.12
H -3.098 1.082 2.368 0.08
O -3.247 -3.752 -5.381 -0.25
H -2.053 4.395 4.297 0.08
O -2.516 -4.379 -3.205 -0.25
H 0.510 1.102 1.217 0.08
H 0.632 -1.965 -5.290 0.12
H -2.855 3.069 0.897 0.12
O 1.516 0.335 -1.078 -0.19
C 8.026 -0.694 4.367 -0.12
H -2.083 -1.215 -3.503 0.09
C -2.707 5.214 3.990 -0.11
F 3.234 -5.025 -2.297 0.15
O -4.753 -0.292 -2.896 -0.20
C 1.752 -1.114 0.859 -0.19
H 5.096 2.620 4.878 0.09
H 1.626 2.361 -1.216 0.09
C 2.292 1.518 -1.031 -0.11
H 6.002 1.834 6.188 0.09
O -6.321 0.457 -0.526 -0.19
C -1.923 3.376 1.382 -0.20
H -6.500 0.795 -3.178 0.13
H -3.626 2.605 3.136 0.09
C 5.752 1.779 5.130 -0.12
C 2.194 -0.799 -0.553 -0.20
H -4.708 -0.852 -0.349 0.09
H 3.062 1.500 -1.811 0.09
H -1.039 5.148 2.230 0.13
H -4.946 -2.319 -2.895 0.08
H -0.972 -0.711 -4.729 0.09
C -2.794 1.907 3.020 -0.10
H -2.125 5.433 0.862 0.13
H -2.203 6.169 4.176 0.09
H 6.673 1.853 4.546 0.08
C 0.125 -2.923 -5.328 -0.18
H -2.534 1.503 3.997 0.09
O 2.133 -0.090 1.766 -0.21
F -1.371 -5.244 -5.108 -0.11
H -2.496 -1.416 -5.199 0.09
H 5.920 -1.711 3.733 0.13
C -1.686 -1.485 -4.477 -0.07
H 3.986 -0.215 3.375 0.11
C -1.981 4.837 1.769 -0.20
H 8.345 -1.738 4.276 0.09
S -2.137 -4.021 -4.528 0.59
H 2.147 -3.673 -5.312 0.13
F 0.346 -5.008 -2.854 0.08
N -1.029 -2.796 -4.410 -0.25
C -5.514 -0.414 0.244 -0.10
O -3.076 5.110 2.626 -0.19
H 1.944 -1.642 -1.192 0.10
C 1.180 -3.990 -4.942 -0.11

Record 2
84
Properties=species:S:1:pos:R:3:lowdin_spin:R:1 method="wB97M-V/def2-TZVPD" e_lumo_ev="2.436 / 2.188" charge=-1 de_lowest_ev=0.499 e_tot_ha=-4233.7666 orbital_gap_ev="7.517 / 7.269" e_homo_ev="-5.08 / -5.08" multiplicity=2
C -2.462 3.583 -0.977 0.00
H 4.260 2.195 -2.470 0.00
H 0.337 0.877 4.635 0.00
H 1.429 -0.878 -2.476 0.00
H 1.252 3.081 3.120 0.00
H 2.195 -0.263 -3.930 0.00
H 5.222 1.131 -3.495 0.00
N 2.403 -3.947 0.014 0.00
H 0.076 4.819 1.644 0.00
N -3.460 -1.911 -0.307 0.00
Ge -1.083 2.257 1.486 0.00
C 3.440 -0.150 -0.148 0.65

My brother has probably made more than many.  One of those was to continue smoking in the face of all the evidence of its harmfulness.  Another was choosing to work jobs that did not require urinalysis as part of the employment screening process.

Don’t get me wrong,  my brother is a hard worker.  He is a conscientious worker, and he prides himself in doing a good job.  He does not partake of substances illegal or otherwise during working hours.  Continue reading “Health Care System Forces Bad Decisions”

Objective should be to make the U.S. self-sufficient in marijuana

marijuana-leafHere is the link to the article in the Wall Street Journal Saving Mexico

I’m not a big fan of drugs.  I’ve seen them ruin too many lives.  I’m also not a big fan of keeping drugs illegal.  That is also wrecking too many lives.  Add to that the amount of energy and resources being wasted enforcing the  criminalization  and it equals crazy.  The energy/resources could be better used elsewhere.  

We tried alcohol prohibition and that did not work. It created vast criminal enterprises.  It is the same with drugs.  I appreciate that there is a moral argument here.  Continue reading “Objective should be to make the U.S. self-sufficient in marijuana”

Am I a 3 eyed Martian?

Here is another reason I worry about this country. These folks are dangerous and harmful to this country. If they believe what they say, they have serious mental problems. My belief is that they do for the ratings which is really for the money that ends up in their pockets, or to put it succinctly GREED. And it is greed is what has driven this country to the brink of economic depression.

This not sane, considered debate about policies and the direction this country needs to take. It is rabble rousing and propaganda for profit. And if that is love of country I am a 3 eyed Martian.

Undereducated / Uneducated Americans

I have taken a more circuitous educational path than most folks.  My career road has perhaps been even more tortured.  Now factor in that I have lived in ten states and one foreign country.  One of the advantages of such meanderings is that I have studied in several different fields, seen many types of jobs and industries, and I have been exposed to a wide range of people.  

I do not see myself as atypical, but sometimes I wonder.  I work in a technical field, computer programming.  Most of the folks I work with are college educated, and many are very smart.   What does surprise me is the narrowness of their knowledge and world view.  The folks discussed below are smart and successful in their fields, but the following anecdotes do illustrate my point. 

I have an Indian co-worker that related to me a story about his birthday which is on the same day as Mohandas Gandhi.  Continue reading “Undereducated / Uneducated Americans”

Is this racist?

I don’t like this man. And at the same time I sometimes feel like we see racism where it ain’t.

• The article is interrupted by records of molecules:
┌──
Density functional theory data (ωB97M-V with the def2-TZVPD basis set) for the molecule H4N4O2.

The geometry in XYZ format:
```
10
Properties=species:S:1:pos:R:3
N -1.482 0.457 0.474
N -0.902 -0.023 -0.704
N 0.331 -0.700 -0.520
N 1.375 -0.061 0.075
O 1.273 1.147 -0.050
O 2.358 -0.657 0.431
H -1.462 -0.369 0.992
H -0.973 1.180 1.016
H -0.781 0.844 -1.211
H 0.262 -1.819 -0.503
```

Computed properties:
Frontier orbital gap (alpha / beta)   8.112 / 5.783 eV
Multiplicity   3
Charge   0
Relative energy (zero: lowest compared OMol25 entry of this formula, charge and spin)   78.8 kcal/mol
Expectation value of S²   2.01


[1]
The following is a quantum chemistry calculation of C3H4O2 in the gas phase in a non-equilibrium geometry, from OMol25.

- Total charge: 0
- LUMO: 0.50 eV
- SMILES: O=C[C@H]1CO1
- Orbital gap: 0.399 Eh
- Energy relative to the best compared isomer or geometry (same formula, charge and spin): 236.9 kJ/mol

Each line ends with the Löwdin charge.
Atoms and positions in Å:
C (0.79, -0.65, 0.94)  -0.192
C (0.45, 0.05, -0.26)  -0.329
C (-0.96, 0.42, -0.56)  -0.067
H (0.17, -0.35, 1.86)  0.155
H (1.13, -0.06, -1.06)  0.147
H (-1.32, 0.32, -1.66)  0.131
H (-1.89, 0.50, 0.15)  0.149
O (1.55, -1.62, 0.84)  0.049
O (0.08, 1.40, -0.26)  -0.044



[2]
The following is a quantum chemistry calculation of C3H4O2 in the gas phase in a non-equilibrium geometry, from OMol25.

- Total charge: 0
- LUMO: 1.03 eV
- SMILES: O[C@@H]1[C@H]2O[C@@H]12
- Orbital gap: 0.379 Eh
- Energy relative to the best compared isomer or geometry (same formula, charge and spin): 423.8 kJ/mol

Each line ends with the Löwdin charge.
Atoms and positions in Å:
O (-0.71, -1.33, -0.60)  -0.009
C (-0.73, -0.21, 0.23)  -0.267
C (0.65, 0.00, 0.74)  -0.130
C (0.21, 0.78, -0.38)  -0.173
O (0.70, 1.43, 0.80)  0.018
H (-1.70, 0.05, 0.63)  0.156
H (1.43, -0.69, 1.02)  0.151
H (0.12, -1.18, -1.09)  0.097
H (0.03, 1.16, -1.36)  0.157



energy relative to the best compared isomer or geometry (same formula, charge and spin) of number 1 (C3H4O2)?
236.9 kJ/mol



Which value of orbital gap does entry 2 give?
0.379 Eh



Number 1 is which compound?
C3H4O2


A structure of composition C17H37FINO12SSi. Source: OMol25; level of theory: ωB97M-V/def2-TZVPD.

Results
Charge: 0
LUMO level in eV: -0.77
E_HOMO in eV: -9.5
Frontier orbital gap in eV: 8.7

Structure (XYZ):
```
71
Properties=species:S:1:pos:R:3:forces:R:3
I 5.15980 -2.27595 4.25053 0.32 0.36 0.36
S 6.45963 -0.05691 2.59381 0.30 0.00 0.28
Si 2.50198 -1.27943 0.62368 -0.66 0.12 -0.12
F 6.90102 0.01959 1.08794 0.00 0.02 0.00
O -5.03482 5.90905 -4.45535 -0.03 0.01 0.00
O -1.30662 3.85392 -1.88874 -0.01 -0.02 0.02
O 1.97989 -6.79019 1.89590 -0.03 -0.02 0.02
O -7.07452 5.55639 -5.06776 0.03 -0.01 0.01
O 1.03759 -8.63597 2.50035 0.01 0.01 0.00
O 5.21236 0.61076 2.69744 0.00 -0.06 -0.20
O -6.50095 5.14639 -2.91742 0.00 0.02 -0.02
O -1.40112 3.42634 0.33218 0.07 0.00 -0.06
O 3.90935 -1.80477 1.33741 0.00 -0.07 -0.17
└──

Howard Cosell (not old enough to remember who this is?) lost his job over a “monkey” remark.

I can see this clip as racist, or given my opionion of Washington in general I can see it as a statement of the reality of the place.

What do you think?